== Brief ==
Start at the top of the lines further down and set down each line, ending with the one that has "0.7500 Fe".
== Data ==
┌──
This record from Alexandria via LeMat-Bulk describes an optimized crystal structure of MnAlAs. The functional is GGA-PBE.

* space-group type: No. 216
* raw total energy: -5.60 eV per atom
* formation energy from the elements: 0.753 eV per formula unit

```
MnAlAs
1.0
4.2206 0.0000 0.0000
2.1103 3.6552 0.0000
2.1103 1.2184 3.4461
Mn As Al
1 1 1
Direct
0.0000 0.0000 0.0000 Mn
0.7500 0.7500 0.7500 As
0.5000 0.5000 0.5000 Al
```

---

This record from Alexandria via LeMat-Bulk describes an optimized crystal structure of FeHgOs. The functional is GGA-PBE.

* space-group type: No. 216
* raw total energy: -5.73 eV per atom
* formation energy from the elements: 2.808 eV per formula unit

```
FeHgOs
1.0
-2.3570 -0.5413 -3.3557
1.5877 -1.7855 -3.3764
-1.2056 -3.8040 -1.0888
Os Fe Hg
1 1 1
Direct
0.5000 0.5000 0.5000 Os
0.7500 0.7500 0.7500 Fe
0.0000 0.0000 0.0000 Hg
```

---

Number 1: energy relative to the lowest polymorph listed for this composition 371.3 meV per atom. Number 2: energy relative to the lowest polymorph listed for this composition 463.9 meV per atom.
└──
== Reply ==
This record from Alexandria via LeMat-Bulk describes an optimized crystal structure of MnAlAs. The functional is GGA-PBE.

* space-group type: No. 216
* raw total energy: -5.60 eV per atom
* formation energy from the elements: 0.753 eV per formula unit

```
MnAlAs
1.0
4.2206 0.0000 0.0000
2.1103 3.6552 0.0000
2.1103 1.2184 3.4461
Mn As Al
1 1 1
Direct
0.0000 0.0000 0.0000 Mn
0.7500 0.7500 0.7500 As
0.5000 0.5000 0.5000 Al
```

---

This record from Alexandria via LeMat-Bulk describes an optimized crystal structure of FeHgOs. The functional is GGA-PBE.

* space-group type: No. 216
* raw total energy: -5.73 eV per atom
* formation energy from the elements: 2.808 eV per formula unit

```
FeHgOs
1.0
-2.3570 -0.5413 -3.3557
1.5877 -1.7855 -3.3764
-1.2056 -3.8040 -1.0888
Os Fe Hg
1 1 1
Direct
0.5000 0.5000 0.5000 Os
0.7500 0.7500 0.7500 Fe